Given:
Compound: CaCoP2O7
Source: the Materials Project database
Functional: PBE+U
Structure: optimized geometry

Unit cell a=7.378 b=8.779 c=9.195 alpha=90.00 beta=116.75 gamma=90.00
Space group P2_1/c (No. 14)
Symmetry-distinct sites (fractional):
Ca (0.230, 0.051, 0.376) (multiplicity 4)
Co (0.270, 0.067, 0.886) (multiplicity 4)
P (0.029, 0.747, 0.965) (multiplicity 4)
P (0.453, 0.726, 0.264) (multiplicity 4)
O (0.033, 0.109, 0.652) (multiplicity 4)
O (0.064, 0.607, 0.390) (multiplicity 4)
O (0.112, 0.233, 0.956) (multiplicity 4)
O (0.243, 0.682, 0.105) (multiplicity 4)
O (0.393, 0.239, 0.305) (multiplicity 4)
O (0.431, 0.628, 0.844) (multiplicity 4)
O (0.487, 0.585, 0.374) (multiplicity 4)

For the formation energy, the calculation gives -2.71 eV/atom.


Entry from Materials Project: a relaxed structure of Li2MnV2P3O12 (GGA+U).

The structure in extended XYZ format:
```
40
Lattice="7.386 -4.473 0.000 7.386 4.473 0.000 -4.530 0.000 7.259" Properties=species:S:1:pos:R:3 pbc="T T T"
Li 0.000 0.000 0.000
Li 3.961 1.707 0.706
Li 6.281 1.707 6.553
Li 5.121 -1.842 3.629
Mn 2.559 -1.007 1.908
Mn 7.683 -1.007 5.351
V 3.097 3.496 4.388
V 7.145 3.496 2.871
V 5.441 -0.960 0.746
V 4.802 -0.960 6.513
P -1.485 0.337 5.806
P 7.386 1.784 0.000
P 5.121 0.892 3.629
P 1.969 -2.339 5.016
P 11.727 0.337 1.452
P 8.273 -2.339 2.243
O -2.973 -0.034 5.685
O 1.004 0.556 2.304
O 2.291 2.777 6.158
O -0.701 -0.187 4.613
O 3.983 1.751 4.170
O -1.023 -0.240 7.193
O 7.952 2.777 1.101
O 6.161 0.984 0.431
O 6.259 1.751 3.088
O 4.505 -0.070 2.544
O 1.509 -1.761 3.633
O 4.081 0.984 6.828
O 1.024 -1.961 6.161
O 5.738 -0.070 4.715
O 4.083 -2.585 1.367
O 3.430 -1.899 5.176
O 6.812 -1.899 2.083
O 9.239 0.556 4.954
O 11.266 -0.240 0.065
O 10.943 -0.187 2.645
O 9.219 -1.961 1.098
O 8.734 -1.761 3.625
O 6.160 -2.585 5.891
O 13.216 -0.034 1.574
```

The space group is C2 (5). The calculation puts the calculated volume at 11.99 A^3/atom. The value obtained for the electronic total energy is -7.2700 eV per atom. The energy of formation from the pure elements is -51.95 eV per formula unit.

Entry from Materials Project: a relaxed structure of Ca4Si6W5O17 (GGA+U).

The structure in extended XYZ format:
```
32
Lattice="3.402 -11.626 0.000 3.402 11.626 0.000 -2.608 0.000 6.267" Properties=species:S:1:pos:R:3 pbc="T T T"
Ca 3.402 6.928 0.000
Ca 2.089 5.016 3.171
Ca 2.089 -5.016 3.171
Ca 3.402 -6.928 0.000
Si -0.950 1.586 5.152
Si 1.910 8.002 2.867
Si -0.950 -1.586 5.152
Si 3.552 3.738 0.255
Si 3.552 -3.738 0.255
Si 1.910 -8.002 2.867
W 0.348 0.000 1.542
W 1.821 1.759 3.399
W 1.821 -1.759 3.399
W 3.886 0.000 1.941
W 3.156 0.000 5.259
O 0.977 7.053 3.821
O 1.061 9.897 5.995
O 2.317 9.410 3.636
O 2.343 4.693 0.785
O -0.537 0.000 4.993
O 0.341 2.362 5.808
O 3.226 7.148 2.421
O 1.900 4.575 5.504
O 0.341 -2.362 5.808
O 2.343 -4.693 0.785
O 4.498 3.166 1.498
O 0.977 -7.053 3.821
O 1.900 -4.575 5.504
O 4.498 -3.166 1.498
O 3.226 -7.148 2.421
O 1.061 -9.897 5.995
O 2.317 -9.410 3.636
```

The space group is Cm (8). The calculation puts the calculated volume at 15.49 A^3/atom. The value obtained for the electronic total energy is -6.8819 eV per atom. The energy of formation from the pure elements is -64.61 eV per formula unit.

Entry from Materials Project: a relaxed structure of Li3Mn2CoO6 (GGA+U).

The structure in extended XYZ format:
```
12
Lattice="2.677 -1.438 0.000 2.677 1.438 0.000 -0.909 0.000 14.668" Properties=species:S:1:pos:R:3 pbc="T T T"
Li 0.000 0.000 0.000
Li 1.190 0.000 9.733
Li 3.254 0.000 4.935
Mn 1.626 0.000 2.453
Mn 2.819 0.000 12.215
Co -0.455 0.000 7.334
O -0.579 0.000 11.086
O 0.846 0.000 13.351
O 1.355 0.000 6.220
O 3.089 0.000 8.447
O 3.599 0.000 1.316
O 5.024 0.000 3.581
```
Work order:
Now reproduce the contents above from the first line to the one with "11.266 -0.240" word for word.
Reply:
Compound: CaCoP2O7
Source: the Materials Project database
Functional: PBE+U
Structure: optimized geometry

Unit cell a=7.378 b=8.779 c=9.195 alpha=90.00 beta=116.75 gamma=90.00
Space group P2_1/c (No. 14)
Symmetry-distinct sites (fractional):
Ca (0.230, 0.051, 0.376) (multiplicity 4)
Co (0.270, 0.067, 0.886) (multiplicity 4)
P (0.029, 0.747, 0.965) (multiplicity 4)
P (0.453, 0.726, 0.264) (multiplicity 4)
O (0.033, 0.109, 0.652) (multiplicity 4)
O (0.064, 0.607, 0.390) (multiplicity 4)
O (0.112, 0.233, 0.956) (multiplicity 4)
O (0.243, 0.682, 0.105) (multiplicity 4)
O (0.393, 0.239, 0.305) (multiplicity 4)
O (0.431, 0.628, 0.844) (multiplicity 4)
O (0.487, 0.585, 0.374) (multiplicity 4)

For the formation energy, the calculation gives -2.71 eV/atom.


Entry from Materials Project: a relaxed structure of Li2MnV2P3O12 (GGA+U).

The structure in extended XYZ format:
```
40
Lattice="7.386 -4.473 0.000 7.386 4.473 0.000 -4.530 0.000 7.259" Properties=species:S:1:pos:R:3 pbc="T T T"
Li 0.000 0.000 0.000
Li 3.961 1.707 0.706
Li 6.281 1.707 6.553
Li 5.121 -1.842 3.629
Mn 2.559 -1.007 1.908
Mn 7.683 -1.007 5.351
V 3.097 3.496 4.388
V 7.145 3.496 2.871
V 5.441 -0.960 0.746
V 4.802 -0.960 6.513
P -1.485 0.337 5.806
P 7.386 1.784 0.000
P 5.121 0.892 3.629
P 1.969 -2.339 5.016
P 11.727 0.337 1.452
P 8.273 -2.339 2.243
O -2.973 -0.034 5.685
O 1.004 0.556 2.304
O 2.291 2.777 6.158
O -0.701 -0.187 4.613
O 3.983 1.751 4.170
O -1.023 -0.240 7.193
O 7.952 2.777 1.101
O 6.161 0.984 0.431
O 6.259 1.751 3.088
O 4.505 -0.070 2.544
O 1.509 -1.761 3.633
O 4.081 0.984 6.828
O 1.024 -1.961 6.161
O 5.738 -0.070 4.715
O 4.083 -2.585 1.367
O 3.430 -1.899 5.176
O 6.812 -1.899 2.083
O 9.239 0.556 4.954
O 11.266 -0.240 0.065